A Professor Beat Up His Student Girlfriend — And the School Reacted In the Worst Way

We've all heard about universities turning a blind eye to sexual violence within the student body. Now, the United Kingdom's Sussex University is being accused of failing to take action against a staff member who assaulted a female student.
The Independent reported that last July, media professor Dr. Lee Salter was convicted by the local Magistrates' Court of viciously beating 24-year-old Allison Smith, whom he met at Sussex University. At the time of their relationship, Smith was a student and Salter was a professor at the school.
Smith told the The Independent that at first, Sussex University was aware of the professor's romantic relationship with Smith, but advised them to be "discreet." It is unclear whether Smith ever took a class with Salter.
She said she turned to student support officers when Salter became abusive, punching her in the face, stamping on her and pouring salt into her eyes and ears. Yet Smith said she did not receive any response from the university itself after reporting abuse.
In an email to Mic, the Sussex institution claimed it is supporting Smith, but offered no comment on reports that the abusive professor is still gainfully employed at the school.
"The University had been following the court case closely and our thoughts are with our former student... the University's management team has been in regular contact with her throughout and they continue to support her," the statement said. "However we are unable to comment on individual employment matters."
### Next to the entry, the page also holds calculated crystals
/*
Starting from a GGA-PBE-relaxed structure, the X-ray powder pattern of PrHoMg2 was simulated for CuKα.

Cell lengths 7.688, 7.688, 7.688 Å; angles 90.00, 90.00, 90.00 degrees
Positions (direct):
Pr 0.000 0.000 0.000
Pr 0.000 0.500 0.500
Pr 0.500 0.000 0.500
Pr 0.500 0.500 0.000
Ho 0.000 0.000 0.500
Ho 0.000 0.500 0.000
Ho 0.500 0.000 0.000
Ho 0.500 0.500 0.500
Mg 0.250 0.250 0.250
Mg 0.250 0.250 0.750
Mg 0.250 0.750 0.250
Mg 0.250 0.750 0.750
Mg 0.750 0.250 0.250
Mg 0.750 0.250 0.750
Mg 0.750 0.750 0.250
Mg 0.750 0.750 0.750

Principal peaks in the range 10 to 80 degrees two-theta, in order of falling intensity:
| two_theta | intensity | (hkl) |
| --- | --- | --- |
| 33.0 | 1000 | 2 2 0 |
| 23.1 | 612 | 2 0 0 |
| 58.8 | 377 | 4 2 2 |
| 53.3 | 262 | 4 2 0 |
| 40.7 | 190 | 2 2 2 |
| 47.3 | 182 | 4 0 0 |
| 78.7 | 160 | 6 2 0 |
| 74.0 | 125 | 6 0 0 |
| 69.1 | 116 | 4 4 0 |
| 20.0 | 7 | 1 1 1 |

Starting from a GGA-PBE-relaxed structure, the X-ray powder pattern of MoW2S6 was simulated for CuKα.

Cell lengths 3.188, 3.188, 29.115 Å; angles 90.00, 90.00, 120.00 degrees
Positions (direct):
Mo 0.000 0.000 0.000
W 0.667 0.333 0.231
W 0.667 0.333 0.769
S 0.000 0.000 0.177
S 0.000 0.000 0.285
S 0.000 0.000 0.715
S 0.000 0.000 0.823
S 0.667 0.333 0.054
S 0.667 0.333 0.946

Principal peaks in the range 10 to 80 degrees two-theta, in order of falling intensity:
| two_theta | intensity | (hkl) |
| --- | --- | --- |
| 12.2 | 1000 | 0 0 4 |
| 37.5 | 290 | 1 0 6 |
| 39.2 | 289 | 1 0 7 |
| 47.6 | 261 | 1 0 11 |
| 33.0 | 232 | 1 0 2 |
| 15.2 | 221 | 0 0 5 |
| 34.8 | 198 | 1 0 4 |
| 32.4 | 189 | 1 0 0 |
| 57.9 | 131 | 1 1 0 |
| 59.3 | 101 | 1 1 4 |

=====

For CsPuMgCl6, the GGA-PBE geometry in Alexandria gives the theoretical X-ray powder pattern in this record (Cu Ka).

Structural model:
```
data_CsPuMgCl6
_chemical_formula_sum 'Cs2 Pu2 Mg2 Cl12'
_cell_length_a 9.6528
_cell_length_b 9.6528
_cell_length_c 9.6528
_cell_angle_alpha 121.81
_cell_angle_beta 118.08
_cell_angle_gamma 90.12
_symmetry_space_group_name_H-M 'P 1'
_symmetry_Int_Tables_number 1
loop_
_symmetry_equiv_pos_as_xyz
'x,y,z'
loop_
_atom_site_label
_atom_site_fract_x
_atom_site_fract_y
_atom_site_fract_z
_atom_site_occupancy
Cs1 0.2981 0.0481 0.2500 1
Cs2 0.7019 0.9519 0.7500 1
Pu1 0.0000 0.5000 0.5000 1
Pu2 0.5000 0.5000 0.0000 1
Mg1 0.0000 0.0000 0.5000 1
Mg2 0.0000 0.5000 0.0000 1
Cl1 0.0438 0.7938 0.2500 1
Cl2 0.0545 0.3971 0.2132 1
Cl3 0.0545 0.8412 0.6574 1
Cl4 0.3162 0.1588 0.7132 1
Cl5 0.3162 0.6029 0.1574 1
Cl6 0.3353 0.5853 0.7500 1
Cl7 0.6647 0.4147 0.2500 1
Cl8 0.6838 0.3971 0.8426 1
Cl9 0.6838 0.8412 0.2868 1
Cl10 0.9455 0.1588 0.3426 1
Cl11 0.9455 0.6029 0.7868 1
Cl12 0.9562 0.2062 0.7500 1
```

Top 10 peaks for 2θ = 10–80°, sorted by position:
- d = 7.732 Å, intensity 36
- d = 6.818 Å, intensity 60
- d = 4.694 Å, intensity 19
- d = 4.178 Å, intensity 100
- d = 3.866 Å, intensity 40
- d = 3.158 Å, intensity 31
- d = 2.758 Å, intensity 21
- d = 2.599 Å, intensity 22
*/
Although she has since graduated, Smith expressed concern that Salter will continue to target young women and subject them to intimate partner violence.
"I often fear that another young woman will have to endure what I have with him ... The shock of what happened; the patterns of manipulation, the disturbing physical and verbal abuse will never leave me," her victim statement said according to The Independent.
(Mic reached out to Smith and will update when we hear back.)
Her concerns highlight the fact that this isn't an isolated issue. In the United States, a 2011 survey of more than 500 college students found that 29% of female students said they have been in an abusive relationship. According to a study of domestic abusers in multiple US states, including Colorado and Pennsylvania, 29% of the convicted men assaulted their victim or a new partner after the first incident of abuse.
So far, the university has largely remained silent in the wake of public outrage. Yet the survivor took to Twitter to publicly refute any suggestion that the school supported her.
Since the allegations surfaced, hundreds of people have signed an online petition urging the university to fire Salter. Others are tweeting at the university and posting on the school's Facebook page.
"Can't believe this is being tolerated in my University," wrote Facebook user Ella Calland. "You've completely let us down."